-- Work order --
Transcribe the whole of the data underneath with every line break kept, please.

-- Contents --
~~~
(1)
{"formula": "C3H3FNO2", "method": "ωB97M-V with the def2-TZVPD basis set", "elements": ["C", "C", "C", "N", "O", "O", "F", "H", "H", "H"], "coordinates": [[1.268, 0.897, 1.417], [-0.039, -0.274, -1.194], [-0.248, -0.424, 0.215], [-1.075, 0.394, -0.355], [0.661, 1.041, 2.392], [2.146, 0.845, 0.659], [-2.658, -0.460, -0.786], [0.883, 0.147, -1.344], [-0.481, -0.902, -1.917], [-0.456, -1.263, 0.911]], "forces_ev_per_a": [[0.01, -0.66, -0.15], [-0.74, -1.07, 0.39], [-1.24, -2.23, 1.53], [0.66, 2.18, 0.95], [-0.79, 0.48, 1.17], [0.88, 0.26, -0.90], [-0.56, -0.75, -0.44], [1.97, 1.54, -1.33], [-0.38, -0.70, -0.87], [0.19, 0.94, -0.34]], "relative_energy_kcal_mol": 70.3, "e_lumo_ha": [0.133, 0.133], "homo_lumo_gap_ev": [6.9, 6.9], "charge": -1}

***

(2)
{"formula": "C3H3FO", "method": "ωB97M-V with the def2-TZVPD basis set", "elements": ["O", "C", "C", "C", "F", "H", "H", "H"], "coordinates": [[1.507, -1.237, 0.194], [1.132, -0.031, -0.090], [-0.146, 0.607, 0.026], [-1.107, -0.116, 0.145], [-1.003, -1.486, -0.163], [2.134, 0.600, -0.494], [-0.331, 1.569, -0.158], [-2.186, 0.094, 0.540]], "forces_ev_per_a": [[-2.44, 5.15, -0.87], [7.19, -3.61, -0.67], [6.95, 1.60, -0.69], [-10.20, -8.13, 1.37], [-0.67, 2.03, 1.11], [-2.93, -0.85, 0.93], [0.03, 4.00, 0.15], [2.08, -0.19, -1.34]], "relative_energy_kcal_mol": 48.6, "e_lumo_ha": -0.007, "homo_lumo_gap_ev": 9.6, "charge": 0}

***

(3)
{"formula": "C3H3FO2", "method": "ωB97M-V with the def2-TZVPD basis set", "elements": ["C", "C", "C", "O", "O", "F", "H", "H", "H"], "coordinates": [[0.335, -0.871, -1.307], [2.461, -1.913, -0.650], [0.687, 0.529, -0.977], [-0.589, -1.458, -1.810], [3.243, -2.616, -1.154], [2.636, -1.540, 0.682], [1.254, 0.623, -1.955], [1.369, 0.631, -0.228], [-0.185, 1.185, -0.893]], "forces_ev_per_a": [[-1.87, -2.90, -0.39], [-2.03, 0.80, -0.07], [-1.24, -0.81, -3.46], [3.87, 2.10, 1.96], [0.05, -0.10, -0.34], [-0.22, 0.14, -0.37], [-0.40, 0.93, 0.82], [1.67, -0.01, 2.09], [0.17, -0.15, -0.25]], "relative_energy_kcal_mol": 58.2, "e_lumo_ha": [-0.019, -0.019], "homo_lumo_gap_ev": [8.6, 8.6], "charge": 0}

***
~~~

-- Reply --
(1)
{"formula": "C3H3FNO2", "method": "ωB97M-V with the def2-TZVPD basis set", "elements": ["C", "C", "C", "N", "O", "O", "F", "H", "H", "H"], "coordinates": [[1.268, 0.897, 1.417], [-0.039, -0.274, -1.194], [-0.248, -0.424, 0.215], [-1.075, 0.394, -0.355], [0.661, 1.041, 2.392], [2.146, 0.845, 0.659], [-2.658, -0.460, -0.786], [0.883, 0.147, -1.344], [-0.481, -0.902, -1.917], [-0.456, -1.263, 0.911]], "forces_ev_per_a": [[0.01, -0.66, -0.15], [-0.74, -1.07, 0.39], [-1.24, -2.23, 1.53], [0.66, 2.18, 0.95], [-0.79, 0.48, 1.17], [0.88, 0.26, -0.90], [-0.56, -0.75, -0.44], [1.97, 1.54, -1.33], [-0.38, -0.70, -0.87], [0.19, 0.94, -0.34]], "relative_energy_kcal_mol": 70.3, "e_lumo_ha": [0.133, 0.133], "homo_lumo_gap_ev": [6.9, 6.9], "charge": -1}

***

(2)
{"formula": "C3H3FO", "method": "ωB97M-V with the def2-TZVPD basis set", "elements": ["O", "C", "C", "C", "F", "H", "H", "H"], "coordinates": [[1.507, -1.237, 0.194], [1.132, -0.031, -0.090], [-0.146, 0.607, 0.026], [-1.107, -0.116, 0.145], [-1.003, -1.486, -0.163], [2.134, 0.600, -0.494], [-0.331, 1.569, -0.158], [-2.186, 0.094, 0.540]], "forces_ev_per_a": [[-2.44, 5.15, -0.87], [7.19, -3.61, -0.67], [6.95, 1.60, -0.69], [-10.20, -8.13, 1.37], [-0.67, 2.03, 1.11], [-2.93, -0.85, 0.93], [0.03, 4.00, 0.15], [2.08, -0.19, -1.34]], "relative_energy_kcal_mol": 48.6, "e_lumo_ha": -0.007, "homo_lumo_gap_ev": 9.6, "charge": 0}

***

(3)
{"formula": "C3H3FO2", "method": "ωB97M-V with the def2-TZVPD basis set", "elements": ["C", "C", "C", "O", "O", "F", "H", "H", "H"], "coordinates": [[0.335, -0.871, -1.307], [2.461, -1.913, -0.650], [0.687, 0.529, -0.977], [-0.589, -1.458, -1.810], [3.243, -2.616, -1.154], [2.636, -1.540, 0.682], [1.254, 0.623, -1.955], [1.369, 0.631, -0.228], [-0.185, 1.185, -0.893]], "forces_ev_per_a": [[-1.87, -2.90, -0.39], [-2.03, 0.80, -0.07], [-1.24, -0.81, -3.46], [3.87, 2.10, 1.96], [0.05, -0.10, -0.34], [-0.22, 0.14, -0.37], [-0.40, 0.93, 0.82], [1.67, -0.01, 2.09], [0.17, -0.15, -0.25]], "relative_energy_kcal_mol": 58.2, "e_lumo_ha": [-0.019, -0.019], "homo_lumo_gap_ev": [8.6, 8.6], "charge": 0}

***